Activity
Please search the block underneath for the word "spin" and return each line that has it.

Excerpt
~~~
DFT (ωB97M-V/def2-TZVPD) results for a 8-piece molecular cluster, C5H25N3O7 overall in a non-equilibrium geometry.

The geometry in XYZ format:
```
40
Properties=species:S:1:pos:R:3:nbo_charge:R:1
C -1.96755 1.86104 0.47105 -0.2478
C -1.40886 1.10435 1.64895 -0.4989
C -1.10369 -0.31286 1.27030 0.1680
C -0.41963 -0.72113 0.14907 -0.0636
N -0.14890 -2.10172 0.30652 -0.4807
C -0.82700 -2.53419 1.43279 0.2816
N -1.33911 -1.48637 2.00153 -0.4640
N -0.99995 2.59799 -0.43462 -0.7577
H -2.62275 1.16988 -0.09819 0.2553
H -2.53802 2.64213 1.01496 0.2394
H -1.89526 1.37370 2.60846 0.2794
H -0.46047 1.60135 1.93090 0.2648
H 0.12410 -0.22077 -0.62764 0.2380
H 0.05253 -2.70149 -0.51998 0.4669
H -0.75097 -3.58688 1.72715 0.2763
H -1.79312 -1.34307 2.89820 0.4587
H -0.74490 1.85670 -1.11124 0.4709
H 0.00281 2.62856 -0.00019 0.4876
H -1.38479 3.48488 -0.85172 0.4612
H -0.95417 -3.26556 -2.50850 0.5060
H 0.40285 -2.58445 -2.28665 0.4667
O -0.09524 -3.37728 -2.07249 -0.9135
H 0.06099 2.20003 -3.23261 0.4989
H 1.18383 1.31014 -2.78064 0.5238
O 0.30402 1.59787 -2.51302 -1.0039
H 3.60801 0.44368 -2.98260 0.4977
H 2.58473 -0.63404 -3.45232 0.4850
O 2.73351 0.28969 -3.33846 -0.9646
H 4.28265 0.56068 0.18752 0.5224
H 2.96288 -0.50980 0.19822 0.5111
O 3.34665 0.34135 0.09524 -1.0180
H 1.41397 0.31994 3.50859 0.4813
H 2.38939 0.51194 2.26191 0.4934
O 1.81161 -0.07597 2.74855 -0.9728
H 2.44457 2.03806 -0.23562 0.5220
H 2.25293 3.18859 0.64417 0.5008
O 1.69717 2.49685 0.21507 -0.9838
H -3.80955 -0.95853 0.87896 0.4729
H -4.34340 -0.71201 -0.55014 0.4943
O -3.59552 -1.00686 -0.05355 -0.9554
```

Summary:
Gap between HOMO and LUMO: 10.66 eV
Lowest unoccupied orbital energy: -0.2016 Ha
Energy: -895.8935 hartree
Energy above the lowest of the compared OMol25 structures with the same formula, charge and spin: 316.8 kJ/mol
Net charge: +2
Molecular weight: 239.27 g/mol


# 1
ORCA calculation (the ωB97M-V functional and the def2-TZVPD basis) on a molecular structure, C13H22Br2ClFN2O3.

## Properties
lowest unoccupied orbital energy = 0.08 eV
HOMO energy = -9.89 eV
multiplicity = 1

Atoms and positions in Å:
C: 3.9787 1.7961 0.2925
C: 3.0088 1.2028 1.3077
Br: 4.0597 -0.1155 2.3440
C: 1.7740 0.5284 0.6353
Br: 1.1580 -0.9775 1.7351
C: 0.5514 1.4300 0.4143
C: 0.8121 2.8570 -0.1193
C: 1.4459 3.9488 0.7301
C: 0.4729 4.4558 1.7895
F: 0.0854 5.7600 1.4862
N: 1.3353 2.6440 -1.4774
C: 0.6738 1.5130 -1.9768
O: 0.7730 1.0744 -3.1152
C: -0.2185 0.9409 -0.8572
C: -0.6191 -0.5095 -1.0525
C: -1.8808 -0.8763 -0.2425
C: -1.7411 -2.0964 0.6723
Cl: -3.2475 -3.0752 0.6571
H: 4.0312 1.1881 -0.6049
H: 4.9748 1.8497 0.7106
H: 3.6831 2.8125 0.0432
H: 2.7137 1.9247 2.0490
H: 2.1142 0.0624 -0.2814
H: -0.0842 1.4484 1.2949
H: -0.1951 3.2314 -0.3003
H: 2.3890 3.6774 1.1814
H: 1.6381 4.7973 0.0766
H: -0.4391 3.8624 1.8176
H: 0.9115 4.4671 2.7831
H: 2.3318 2.6261 -1.6095
H: -1.1498 1.5032 -0.9474
H: 0.1916 -1.2118 -0.8916
H: -0.8787 -0.5912 -2.1060
H: -2.7271 -1.0278 -0.9023
H: -2.1537 -0.0280 0.3835
H: -0.9120 -2.7263 0.3821
H: -1.6152 -1.7921 1.7010
C: -3.8597 -6.0043 -1.0621
N: -3.9436 -7.4800 -1.2407
O: -4.8606 -8.0643 -0.7104
O: -3.0779 -7.9981 -1.9088
H: -4.6908 -5.6852 -0.4463
H: -2.9114 -5.7862 -0.5846
H: -3.9022 -5.5562 -2.0497

Mulliken atomic charge list, values in e, 5 entries: atom 1 (C): -1.386, atom 2 (C): -0.160, atom 3 (Br): -0.133, atom 4 (C): -0.568, atom 5 (Br): -0.011

# 2
ORCA calculation (the ωB97M-V functional and the def2-TZVPD basis) on 3 unconnected molecules or ions with the total composition C13H22Cl4NO6S2.

## Properties
lowest unoccupied orbital energy = 1.89 eV
HOMO energy = -5.59 eV
multiplicity = 1
total charge = -1

Atoms and positions in Å:
C: 8.0948 -2.0675 0.2263
C: 7.7165 -0.7947 0.2288
C: 7.1586 0.7381 0.1913
C: 5.9320 0.7371 -0.8630
C: 4.6732 1.6697 -0.4217
S: 3.2655 1.1657 -1.5800
O: 2.9431 -0.2879 -1.1847
O: 3.8680 1.1123 -2.9826
N: 1.9009 2.2004 -1.4698
S: 1.4317 2.4651 0.1720
O: 2.0528 3.8148 0.5778
O: 1.8668 1.3848 1.1440
C: -0.4412 2.6546 0.2311
~~~

Written answer
Energy above the lowest of the compared OMol25 structures with the same formula, charge and spin: 316.8 kJ/mol